Tuesday, December 22, 2009

Was Jesus born in a stable or cave?

As we get closer to Christmas I cannot get my mind off these beautiful creche scenes that are everywhere, on the front lawns of Churches, on greeting cards, and in our home. We have a very simple but elegant one on a table in our home library. Each Sunday during Advent my little daughters place one additional figure in the scene, first the shepherd, then the magi, then the angels, and finally Jesus. I get a kick out of watching them do this. But was Jesus really born in a barn or stable or was he born in a cave as some people think?

-- Next to the text, the page also holds data records --
~~~
{"formula": "C14H33IN3O3", "method": "ωB97M-V/def2-TZVPD", "elements": ["C", "C", "C", "C", "N", "C", "C", "O", "I", "H", "H", "H", "H", "H", "H", "H", "H", "H", "H", "H", "C", "C", "C", "O", "C", "N", "H", "H", "H", "H", "H", "H", "H", "H", "H", "H", "H", "C", "C", "C", "O", "C", "N", "H", "H", "H", "H", "H", "H", "H", "H", "H", "H", "H"], "positions_angstrom": [[0.61775, -2.51555, 5.47705], [1.57572, -3.18123, 4.28039], [0.99379, -4.73360, 4.06066], [3.16552, -3.22017, 4.67829], [4.02406, -2.17453, 4.00229], [3.39442, -0.79965, 4.03349], [2.86582, -0.41728, 2.51489], [1.64221, 0.08723, 2.33607], [4.23428, -0.80021, 0.79496], [-0.20376, -1.82814, 4.98155], [0.18397, -3.33307, 6.20031], [1.26713, -1.78897, 6.16314], [1.32427, -2.61360, 3.28615], [0.59852, -4.86971, 2.96257], [1.81588, -5.55559, 4.27033], [0.08782, -4.98048, 4.77483], [3.57969, -4.27578, 4.30590], [3.28249, -3.25323, 5.86054], [2.59477, -0.63712, 4.87291], [4.27047, -0.02329, 4.26685], [0.99479, 1.84598, -1.20746], [1.68802, 1.22806, -2.41845], [2.80284, 2.12079, -3.01041], [2.32175, 3.20744, -3.80842], [1.95057, 4.35918, -3.06725], [0.67430, 0.88949, -3.42775], [0.31670, 2.65930, -1.47804], [0.39420, 1.09075, -0.68613], [1.72747, 2.23537, -0.49305], [2.15887, 0.29728, -2.07933], [3.40290, 1.50259, -3.68988], [3.48831, 2.48080, -2.23374], [2.59475, 4.51640, -2.19672], [0.90525, 4.28676, -2.76136], [2.04115, 5.22871, -3.72468], [1.13268, 0.40118, -4.19887], [0.36298, 1.76792, -3.85194], [-4.55024, 1.61305, -1.07672], [-3.43240, 1.51404, -2.11090], [-3.90134, 0.94686, -3.47053], [-4.07463, -0.47400, -3.48451], [-5.33152, -0.91575, -2.99593], [-2.32915, 0.72277, -1.54728], [-4.83557, 0.64026, -0.66834], [-4.23163, 2.23288, -0.22988], [-5.44294, 2.07769, -1.50804], [-3.06780, 2.53305, -2.28902], [-3.11643, 1.15274, -4.20907], [-4.80485, 1.45357, -3.83056], [-6.14165, -0.22759, -3.25598], [-5.28367, -1.05897, -1.91486], [-5.54737, -1.88855, -3.44711], [-1.55155, 0.73001, -2.20944], [-2.62961, -0.25610, -1.54150]], "atomic_forces_ev_per_a": [[0.929, 0.908, 0.017], [-1.496, -1.154, 0.894], [-0.200, -0.216, -0.118], [0.237, -0.174, -1.179], [-2.170, 0.971, 1.017], [2.484, -1.347, 0.552], [-7.240, 3.279, 1.306], [7.505, -3.265, 0.409], [-0.558, 0.032, 0.679], [1.369, -1.616, 1.139], [0.642, 1.593, -1.549], [-1.326, -1.541, -1.476], [0.975, -0.944, 1.975], [0.845, 0.159, 2.059], [-1.566, 1.738, -0.489], [1.738, 0.569, -1.381], [-0.788, 2.163, 0.761], [-0.501, 0.147, -1.858], [0.883, -0.077, -2.087], [-1.769, -1.176, -0.743], [-0.023, -0.197, 0.329], [-0.039, 0.445, 0.139], [-0.057, -0.363, -0.254], [0.280, -0.018, 0.412], [-0.128, -0.034, -0.372], [0.120, 0.130, -0.389], [0.043, -0.034, -0.099], [0.161, 0.190, -0.117], [-0.076, -0.085, -0.070], [0.025, 0.130, -0.098], [-0.115, 0.136, -0.033], [-0.158, 0.061, 0.065], [-0.074, -0.099, 0.023], [0.032, 0.102, 0.245], [0.067, -0.129, -0.013], [-0.172, -0.038, 0.188], [0.068, -0.201, 0.161], [-0.136, 0.279, 0.194], [-0.074, -0.572, 0.152], [0.433, -0.074, -0.039], [-0.386, 0.566, -0.118], [0.342, -0.278, -0.015], [-0.178, -0.043, -0.462], [0.093, 0.051, -0.107], [0.018, -0.168, -0.174], [0.022, -0.053, 0.019], [0.032, -0.102, -0.115], [-0.046, -0.161, 0.125], [-0.153, -0.073, 0.101], [0.045, 0.066, 0.065], [-0.230, 0.077, 0.052], [0.095, 0.120, -0.031], [0.101, 0.027, 0.187], [0.074, 0.297, 0.121]], "homo_lumo_gap_ev": 4.9, "total_charge": -1, "e_tot_ha": -1240.72274, "homo_ev": -2.52}
~~~

Well, we really don't know. The origin of the typical creche scene goes back to the 13th century with St. Francis of Assisi. Tradition states that Francis was in Grecio (Italy) preparing to celebrate midnight mass and he realized the chapel there was too small. He walked outside and saw a very nice clearing near the base of a hill and set up a wooden lean-two and arranged to have farmers bring some animals there and that is where they had mass. Francis preached and everyone broke bread. This tradition was recalled by St. Bonaventure back in 1274. I guess this is one example where Francis lived out his maxim, "always preach the gospel, use words if you have to" a saying that I keep close to my heart throughout the year.

The tradition of the cave, which is still a tradition maintained in the Eastern Church goes back to the 2nd century with St. Justin Martyr who tells us that Jesus was born outside with the animals and placed in a manger in a cave on a hill outside of Bethlehem. When you go to Bethlehem you see that there are no many trees and nearly all the homes are built out of limestone or cinderblock and covered with stucco. It is highly likely that people back then lived in hut type dwellings that were hewn out of the sides of hills and mountains. There are plenty of caves throughout Palestine which has a lot of limestone due to the volcanic fault line that goes right through the middle of Israel.

The icon has Jesus in swaddling clothes in the center of a very dark cave. There is of course Mary below him in a prone position since she just have birth. Angels and shepherds are above in the upper right and left and to the bottom left is Joseph being tempted to leave Mary which is allegorically depicted by an old man. On the bottom right are mid-wives cleaning up the baby Jesus, again, showing us the reality of birth, blood and other bodily fluids.

So in the end we really don't know and quite honestly I enjoy both stories, since in both we have the image of a very humble God sending his son to be born among animals, poor shepherds, and a fallen and broken humanity.